What to do
What is needed: say how many lines of the entries further down hold the word "pos", as a bare number.
Given
┌──
(1)
131
Properties=species:S:1:pos:R:3 method="wB97M-V/def2-TZVPD" homo_lumo_gap_ev="8.6 / 8.6" spin_multiplicity=2 relative_energy_ev=0.0000 total_charge=0 e_homo_ha="-0.3015 / -0.3015" total_energy_ev=-129980.2659 max_force_ev_per_a=1.9
C 1.136 0.010 1.486
C 0.596 1.148 2.310
C 0.975 1.345 3.623
C 0.435 2.396 4.357
C -0.483 3.269 3.807
C -1.081 4.423 4.599
C -0.566 4.503 6.041
C -0.834 5.794 3.910
C -0.885 3.058 2.482
O -1.833 3.925 1.978
C -2.900 3.327 1.266
C -4.050 2.837 2.164
O -3.597 2.146 3.318
C -4.995 3.991 2.570
C -6.462 3.586 2.838
C -7.404 4.051 1.710
C -6.946 4.328 4.115
N -6.630 2.140 3.107
O -6.328 1.791 4.305
C -6.108 1.253 2.041
C -5.679 -0.087 2.655
C -7.208 0.899 0.984
C -4.875 1.843 1.319
C -0.334 2.025 1.761
H 1.783 0.379 0.689
H 1.626 -0.731 2.113
H 0.309 -0.502 0.987
H 1.678 0.666 4.090
H 0.757 2.498 5.383
H -2.156 4.226 4.661
H -0.946 5.421 6.494
H -0.899 3.674 6.667
H 0.524 4.571 6.034
H -1.789 6.222 3.606
H -0.326 6.483 4.581
H -0.260 5.658 2.995
H -3.305 4.106 0.618
H -2.594 2.512 0.608
H -3.602 2.773 4.046
H -4.585 4.578 3.396
H -5.011 4.680 1.721
H -8.430 3.863 2.025
H -7.268 5.128 1.622
H -7.174 3.561 0.765
H -7.150 5.370 3.870
H -6.144 4.298 4.852
H -7.797 3.824 4.568
H -5.388 -0.777 1.861
H -6.489 -0.535 3.230
H -4.815 0.026 3.306
H -7.486 -0.146 1.095
H -8.083 1.522 1.160
H -6.824 1.037 -0.025
H -5.156 2.345 0.388
H -4.187 1.043 1.040
H -0.640 1.835 0.736
O 2.164 -0.913 -2.356
S 1.079 -1.511 -3.075
O -0.232 -1.561 -2.506
O 1.510 -2.977 -3.515
C 1.956 -3.863 -2.463
C 0.815 -4.342 -1.590
C 0.973 -0.798 -4.679
H 2.725 -3.364 -1.871
H 2.427 -4.706 -2.965
H 0.365 -3.516 -1.042
H 1.168 -5.072 -0.863
H 0.031 -4.796 -2.198
H 1.963 -0.782 -5.127
H 0.598 0.216 -4.555
H 0.280 -1.377 -5.282
O 0.746 -6.492 1.133
S 0.908 -7.692 1.896
O -0.230 -8.476 2.260
O 1.748 -7.341 3.197
C 1.277 -6.242 4.012
C 0.035 -6.573 4.810
C 2.095 -8.741 1.129
H 1.115 -5.369 3.378
H 2.099 -6.006 4.685
H -0.820 -6.758 4.161
H -0.216 -5.737 5.464
H 0.184 -7.469 5.414
H 2.974 -8.156 0.873
H 1.631 -9.143 0.231
H 2.344 -9.547 1.814
O 0.578 -2.527 5.532
S 0.365 -2.394 6.941
O -0.379 -3.381 7.661
O -0.241 -0.957 7.239
C -1.447 -0.570 6.541
C -2.681 -1.272 7.071
C 1.912 -2.158 7.748
H -1.320 -0.737 5.470
H -1.537 0.504 6.694
H -2.642 -2.344 6.881
H -3.573 -0.875 6.586
H -2.769 -1.133 8.149
H 2.473 -1.391 7.222
H 2.439 -3.109 7.709
H 1.729 -1.874 8.780
O 2.417 0.643 -7.359
S 2.696 2.030 -7.125
O 1.654 3.007 -7.154
O 3.876 2.491 -8.086
C 3.714 2.303 -9.512
C 2.732 3.292 -10.110
C 3.566 2.195 -5.602
H 3.420 1.273 -9.721
H 4.697 2.451 -9.950
H 1.722 3.130 -9.734
H 2.710 3.187 -11.194
H 3.014 4.314 -9.855
H 4.379 1.474 -5.574
H 2.855 1.994 -4.803
H 3.940 3.212 -5.521
O 6.345 0.374 -10.231
S 7.160 -0.150 -9.176
O 8.472 0.360 -8.931
O 7.231 -1.731 -9.327
C 7.692 -2.271 -10.584
C 9.189 -2.120 -10.771
C 6.260 -0.105 -7.667
H 7.138 -1.813 -11.405
H 7.426 -3.326 -10.559
H 9.476 -1.073 -10.853
H 9.505 -2.630 -11.681
H 9.726 -2.541 -9.921
H 5.266 -0.515 -7.833
H 6.191 0.937 -7.361
H 6.800 -0.679 -6.919


(2)
126
Properties=species:S:1:pos:R:3 method="wB97M-V/def2-TZVPD" homo_lumo_gap_ev=8.3 total_charge=0 e_homo_ha=-0.3238 total_energy_ev=-147934.2074 max_force_ev_per_a=0.9
C -1.547 1.894 0.489
O -0.668 1.620 -0.599
C -1.246 1.759 -1.825
N -2.000 0.482 -2.226
C -3.434 0.779 -2.572
C -3.624 1.755 -3.737
C -4.765 2.740 -3.539
O -5.255 3.297 -4.459
O -5.131 2.994 -2.240
C -4.154 -0.568 -2.682
Br -5.907 -0.291 -3.512
I -4.597 -1.153 -0.590
O -3.538 -1.520 -3.408
C -2.070 -1.760 -3.377
C -1.847 -2.405 -4.759
C -0.646 -3.335 -4.925
C 0.731 -2.711 -4.991
O 1.644 -3.063 -4.292
O 0.822 -1.732 -5.916
C -1.779 -2.766 -2.257
C -2.548 -4.085 -2.356
C -1.698 -5.319 -2.080
F -3.592 -4.061 -1.426
C -1.293 -0.405 -3.250
N -1.310 0.308 -4.507
C 0.180 -0.561 -2.639
O 1.061 -0.164 -3.408
O 0.194 -0.978 -1.464
H -1.027 1.640 1.408
H -2.447 1.270 0.428
H -1.834 2.949 0.509
H -1.991 2.562 -1.830
H -0.478 1.951 -2.571
H -1.993 -0.080 -1.360
H -3.838 1.259 -1.683
└──
Worked solution
2